Given:
- - -
Entry 1:
DFT (PBE) results for an optimized crystal structure of Mo3Os.

The value obtained for the energy above the lowest structure with this stoichiometry is 250 meV per atom.

It has space group R-3m (No. 166, hexagonal axes), with a = 2.7750 Å, b = 2.7750 Å, c = 28.1417 Å, α = 90.00°, β = 90.00° and γ = 120.00°. The inequivalent atoms are Mo at (0.0000, 0.0000, 0.0000), Mo at (0.0000, 0.0000, 0.2462) and Os at (0.0000, 0.0000, 0.5000).



Entry 2:
DFT (PBE) results for an optimized crystal structure of AsRuIO2.

The raw formation energy is 0.293 eV per atom. The value obtained for the energy above the lowest structure with this stoichiometry is 286 meV per atom.

It has space group P4/mmm (No. 123), with a = 3.777 Å, b = 3.777 Å, c = 6.627 Å, α = 90.00°, β = 90.00° and γ = 90.00°. The inequivalent atoms are As at (0.000, 0.000, 0.000), Ru at (0.500, 0.500, 0.500), I at (0.000, 0.000, 0.500) and O at (0.000, 0.500, 0.000).



Entry 3:
DFT (PBE) results for an optimized crystal structure of Ca3InNi8.

The total energy is -4.779 eV per atom.

It has space group R3m (No. 160, hexagonal axes), with a = 5.0340 Å, b = 5.0340 Å, c = 24.7081 Å, α = 90.00°, β = 90.00° and γ = 120.00°. The inequivalent atoms are Ca at (0.0000, 0.0000, 0.0000), Ca at (0.0000, 0.0000, 0.1262), Ca at (0.0000, 0.0000, 0.6238), In at (0.0000, 0.0000, 0.5006), Ni at (0.0000, 0.0000, 0.3125), Ni at (0.0000, 0.0000, 0.8130), Ni at (0.0054, 0.5027, 0.0643) and Ni at (0.1679, 0.3358, 0.8941).


Entry 1:
VASP calculation (PBE) on crystalline ErSc5Al6 at its relaxed geometry.

a b c (Å): 15.2696 6.7595 4.8402
angles (deg): 90.00 108.02 90.00
With the nearest neighbours (Å) after each atom.
Space group C2/m (No. 12)
Unique sites:
Er (0.0000, 0.0000, 0.0000) x2  8 Al 3.01-3.03, 2 Sc 3.37
Sc (0.0000, 0.5000, 0.0000) x2  8 Al 2.89-2.97
Sc (0.1629, 0.0000, 0.6625) x4  8 Al 2.92-2.98
Sc (0.1687, 0.5000, 0.6684) x4  8 Al 2.92
Al (0.0000, 0.2659, 0.5000) x4  6 Sc 2.89-2.97, 2 Er 3.01, 1 Al 3.16
Al (0.1703, 0.2580, 0.1698) x8  7 Sc 2.92-2.98, 1 Er 3.03

Values from the calculation:
Mass density   3.9 Mg/m³
Fermi-level density of states   9.0 states/eV/cell
Energy   -0.3913 Ry per atom

---

Entry 2:
VASP calculation (PBE) on crystalline CaAcBi2 at its relaxed geometry.

a b c (Å): 8.6001 4.9559 7.6534
angles (deg): 90.00 111.93 90.00
With the nearest neighbours (Å) after each atom.
Space group C2/m (No. 12)
Unique sites:
Ca (0.0000, 0.0000, 0.0000) x2  6 Bi 3.31
Ac (0.0000, 0.5000, 0.5000) x2  6 Bi 3.43
Bi (0.2447, 0.5000, 0.2343) x4  3 Ca 3.31, 3 Ac 3.43

Values from the calculation:
Mass density   7.5 Mg/m³
Fermi-level density of states   6.8 states/eV/cell
Energy   -0.3120 Ry per atom

---

Number 1: E_form -434 meV/atom. Number 2: E_form -777 meV/atom.


A relaxed structure of Bi3TeAu, computed with GGA-PBE.

Summary:
final energy = -3.136 eV per atom
energy above the lowest structure with this stoichiometry = 490 meV per atom
calculated volume = 172 Å³/cell
formation energy from raw total energies = 477 meV/atom

a = 5.5659 Å, b = 5.5659 Å, c = 5.5659 Å
α = 90.00°, β = 90.00°, γ = 90.00°
Last column: nearest neighbours and their distance in Å.
Positions (direct):
Bi: 0.0000 0.0000 0.5000  2 Au 2.78
Bi: 0.0000 0.5000 0.0000  2 Au 2.78
Bi: 0.5000 0.0000 0.0000  2 Au 2.78
Te: 0.5000 0.5000 0.5000  12 Bi 3.94
Au: 0.0000 0.0000 0.0000  6 Bi 2.78
- - -

Job:
Print every line further up that contains the word "It".

Result:
It has space group R-3m (No. 166, hexagonal axes), with a = 2.7750 Å, b = 2.7750 Å, c = 28.1417 Å, α = 90.00°, β = 90.00° and γ = 120.00°. The inequivalent atoms are Mo at (0.0000, 0.0000, 0.0000), Mo at (0.0000, 0.0000, 0.2462) and Os at (0.0000, 0.0000, 0.5000).
It has space group P4/mmm (No. 123), with a = 3.777 Å, b = 3.777 Å, c = 6.627 Å, α = 90.00°, β = 90.00° and γ = 90.00°. The inequivalent atoms are As at (0.000, 0.000, 0.000), Ru at (0.500, 0.500, 0.500), I at (0.000, 0.000, 0.500) and O at (0.000, 0.500, 0.000).
It has space group R3m (No. 160, hexagonal axes), with a = 5.0340 Å, b = 5.0340 Å, c = 24.7081 Å, α = 90.00°, β = 90.00° and γ = 120.00°. The inequivalent atoms are Ca at (0.0000, 0.0000, 0.0000), Ca at (0.0000, 0.0000, 0.1262), Ca at (0.0000, 0.0000, 0.6238), In at (0.0000, 0.0000, 0.5006), Ni at (0.0000, 0.0000, 0.3125), Ni at (0.0000, 0.0000, 0.8130), Ni at (0.0054, 0.5027, 0.0643) and Ni at (0.1679, 0.3358, 0.8941).